6 Reasons to Never Freelance Without a Contract
Do you freelance without a contract? Unfortunately, a great number of artists, designers, illustrators and other creative freelancers do – especially when starting out. I know I definitely didn’t think to have one at first, and I was very lucky as generally, my clients were honest people. In an ideal world, we would not need contracts at all; people could trust each other on their word. Wherever that ideal world exists in the multiverse, it definitely doesn’t exist here. Even if freelancing isn’t a significant source of income for you, or any source of income at all, it is absolutely necessary for you to have a contract with each and every one of your clients.
There are multiple good reasons to always, always, ALWAYS have a contract on hand and ready to be signed when working with a new (or even old) client. Here are some of them.
1. Having a contract helps prevent issues of nonpayment.
This is, again, very unfortunate, but there ARE people out there who are extremely unscrupulous and will do their best to avoid paying the people who work for them. When there is no contract or paper trail involved, unscrupulous clients will find doing just that very easy. How many freelancers have done work for a client, put all their effort into it, and ended up with part, or even all, of the promised fees unpaid? I guarantee you, there’s quite a few out there. You may be one of them. While a contract may not prevent a situation where you have to hound after a client to make them pay, it does cut down on the amount of dishonest people who just want to get the project done for free.
# Someone pasted calculated molecules at this point
- - -
{"formula": "C29H27Br4N2O6SrTe", "method": "ωB97M-V/def2-TZVPD", "elements": ["Sr", "O", "C", "C", "N", "C", "C", "O", "O", "C", "C", "O", "O", "H", "H", "H", "H", "H", "H", "H", "H", "H", "Br", "C", "Br", "H", "H", "C", "C", "C", "C", "C", "C", "Br", "C", "C", "Br", "C", "O", "C", "N", "H", "H", "H", "H", "H", "H", "Te", "C", "C", "C", "C", "C", "C", "C", "C", "C", "C", "C", "C", "H", "H", "H", "H", "H", "H", "H", "H", "H", "H"], "xyz": [[0.3719, -1.1933, -0.2584], [-2.6864, -4.8588, 1.5229], [-1.9184, -4.0184, 0.5104], [-0.6063, -4.9154, 0.5408], [0.5781, -4.1261, 0.5891], [0.8689, -4.0375, 2.0615], [0.4158, -2.6199, 2.4194], [0.3976, -2.3211, 3.6079], [-0.1424, -2.1230, 1.4436], [1.5115, -4.6894, -0.3326], [0.8091, -4.1314, -1.7044], [0.2416, -4.8878, -2.4466], [0.7010, -2.8529, -1.6360], [-1.9301, -4.9747, 2.0734], [-1.5629, -2.9975, 0.6988], [-2.4428, -4.1304, -0.4291], [-0.6469, -5.6632, -0.2901], [-0.6908, -5.5923, 1.4125], [1.9457, -4.2378, 2.3585], [0.2241, -4.6963, 2.6831], [1.7492, -5.8026, -0.3333], [2.4773, -4.1190, -0.1307], [2.1890, 1.1597, -2.8919], [0.6944, 1.7784, -3.9358], [0.0795, 3.4210, -3.1657], [-0.0813, 1.0193, -3.8549], [1.0680, 1.9946, -4.9270], [-2.1603, -1.7640, -4.7099], [-3.0729, -0.9386, -3.8199], [-4.3902, -0.5919, -4.2747], [-5.1918, 0.1571, -3.4593], [-4.7474, 0.6509, -2.1933], [-5.4960, 1.4877, -1.3601], [-7.3857, 1.7053, -1.5950], [-4.9095, 1.9597, -0.2117], [-3.6135, 1.6307, 0.1236], [-3.1437, 2.4023, 1.8396], [-2.7847, 0.7188, -0.5719], [-1.6616, 0.2717, -0.2160], [-3.4016, 0.2754, -1.8444], [-2.6429, -0.5012, -2.6833], [-2.7287, -2.4116, -5.3994], [-1.5140, -2.4047, -4.1291], [-1.5564, -1.1017, -5.3453], [-4.7488, -0.9775, -5.2174], [-6.2005, 0.4659, -3.7885], [-5.5214, 2.5149, 0.5099], [1.5046, 2.9894, 1.1911], [1.9364, 2.3438, 3.1303], [2.9935, 1.4751, 3.2457], [3.2689, 0.8923, 4.4685], [2.3977, 1.1614, 5.5380], [1.3433, 2.0360, 5.4287], [1.1201, 2.6389, 4.2044], [3.1865, 4.1347, 0.8397], [4.2853, 3.4807, 0.3523], [5.3209, 4.2093, -0.2106], [5.1675, 5.5883, -0.2859], [4.0341, 6.2478, 0.1685], [3.0254, 5.5082, 0.7428], [3.5788, 1.2162, 2.3730], [4.1138, 0.2286, 4.5992], [2.5594, 0.6395, 6.4971], [0.6959, 2.2178, 6.3010], [0.3074, 3.3771, 4.0781], [4.2984, 2.3925, 0.4012], [6.1633, 3.7365, -0.6584], [5.9000, 6.2072, -0.7960], [3.9655, 7.3340, 0.0610], [2.0908, 6.0116, 1.0911]], "atomic_forces_ev_per_a": [[-0.0680, 3.5639, -3.2375], [-0.7329, 2.6998, -1.4367], [0.7298, -3.4670, 0.5284], [-2.3186, -0.4125, -1.8000], [0.7545, -3.1857, 2.3101], [1.9283, 0.2809, -0.5734], [0.0002, -3.0217, 3.1254], [0.4588, 0.9400, -0.0233], [-1.7961, 2.4136, 2.7299], [2.1262, 1.1609, -1.3191], [0.6178, 0.1740, 2.3543], [-0.0412, -0.7532, -1.1692], [0.7037, -0.9508, -1.8707], [-0.1347, -0.4855, 1.4666], [-1.4228, -0.5472, 0.6363], [-0.1245, 0.1323, -0.1160], [0.2519, 0.9500, 0.2219], [0.2988, 0.2292, -0.3541], [-1.1006, 0.2567, -0.5569], [0.6577, 0.2590, -0.4247], [-0.6658, 1.0684, 0.0883], [-0.7544, -0.8175, -0.6307], [0.3277, -0.4001, 0.0851], [0.0876, 0.0657, 0.4817], [-0.3722, 0.2193, -0.0631], [0.0365, 0.2024, -0.2272], [-0.1958, -0.2085, -0.0772], [-0.4807, 0.1136, -0.3098], [-0.9952, 0.0812, -0.9396], [0.2716, -0.1920, 0.7599], [-0.5857, 0.4671, -0.1960], [1.1408, -0.8070, -1.1309], [-0.0468, -0.0736, 0.6639], [0.2942, 0.1229, -0.1041], [-1.3703, 0.0220, -0.2181], [0.6476, 0.0535, 0.9061], [0.5552, -0.4225, -0.4306], [-0.6057, -0.1676, -0.7232], [0.6578, 0.1565, 0.2683], [-0.5656, 0.2542, -0.2771], [0.6596, 0.4103, 1.3412], [0.0460, 0.3073, 0.3113], [0.3056, -0.0312, 0.2623], [0.0162, -0.1050, 0.1867], [-0.0517, 0.0837, -0.1221], [0.6073, -0.3590, 0.1687], [0.3832, -0.1005, -0.4406], [-1.3942, -0.2510, 0.0002], [-0.3617, 0.1920, -0.4783], [0.6467, -0.6443, 0.3778], [-0.6244, 0.2654, 0.5828], [1.0758, -0.9923, 0.7297], [-0.3608, 0.0465, 0.3650], [-0.8279, 1.0247, -0.0867], [-1.0155, 0.0865, -0.0459], [0.9211, -0.4325, -0.1277], [-0.6618, 0.6736, 0.1449], [0.4031, 0.4737, -0.5792], [0.3559, 0.2880, 0.0774], [-0.8143, 0.7366, 0.4320], [0.1091, 0.0330, 0.0414], [-0.1011, -0.0729, -0.0154], [-0.0266, 0.3470, -0.5706], [0.3147, -0.0275, -0.6087], [0.4387, -0.5934, 0.0734], [0.1912, 0.2537, -0.1483], [0.5603, -0.3059, -0.1247], [0.2019, -0.2506, 0.1058], [-0.0555, -0.3963, 0.0349], [0.8902, -0.6343, -0.3045]], "e_homo_ha": -0.1730, "e_above_lowest_kcal_mol": 0.0, "charge": -1, "total_energy_ev": -334076.38145}
- - -
2. The client knows what they’re going to receive
Generally, clients read the contracts before they sign them. Or, at least, I hope they do. A good contract will list the freelancer’s duties, and what the client should expect to receive (and what they will be charged for it). This prevents a number of issues, because the client and the freelancer will most likely go over the project’s requirements several times before signing the contract. In turn, this helps to cut down on client complaints about the work being not what they wanted, or the price being higher than what they agreed on – though, those obviously won’t be eliminated entirely.
Additionally, you can add a clause against scope creep. A scope creep clause typically states that the freelancer has the right to charge the client for any extra work the client may request that was not originally requested or required as part of the project. If you keep allowing more and more things to be added to the project, you’ll spend hours working on it and end up being paid much, much less per hour than you would have if you’d just denied the requests or charged extra.
3. Contracts will outline contingencies for worst-case scenarios
There might come a time when you’ll need to fire your client. Yes, you can fire your clients, and you should, if they ever turn out to be a nightmare client from freelancing hell. The contract you and your client sign should cover what happens in the eventuality that you no longer want to work with that client.
Additionally, there may also be a case where the client may no longer require your services for whatever reason. A good contract will cover the procedure for severing the business relationship. Do you intend to charge a kill fee? Does the client have to pay for whatever amount of work you’ve already completed? This is, of course, up to you, but just between you and I? If it’s a long-term project, totally charge a kill fee.
You can also outline consequences for late payment and nonpayment for fees in the contract. You should probably do that. That’s a good life choice. You don’t want people to just pay you whenever, right?
4. Having a contract protects both the freelancer and the client
Unfortunately, both clients and freelancers have encountered misfortune when working with someone without a contract on hand. Plenty of clients have found themselves left high and dry, their projects unfinished and their money gone. Plenty of clients have ended up with something completely different from what they’d asked for, because what they wanted wasn’t necessarily what they got. Likewise, freelancers have found themselves not being paid for their work, their work being used for purposes they didn’t think it would be used for, or doing something completely different from what the project was originally described as being.
Having a contract that clearly outlines what is expected of each party, what the task is, what the compensation is, and what the consequences for non-completion or non-payment are helps people feel more secure and more confident in working together. There is less risk for both parties involved. When a freelancer and a client feel more comfortable working together, the project at hand becomes easier to do and moves faster. Additionally, having a basis of trust and understanding is quite helpful for building a more permanent working relationship between the client and the freelancer – which is something we all want, right?
5. A contract might not be able to prevent all the bad things, but it can help to prevent or make easier a majority of them.
Contracts aren’t the be-all, end-all protection against issues that may arise while dealing with a client. However, having one CAN and WILL help protect you from a lot of the potential negative consequences. If you need to take your client to court for nonpayment of fees, for example, you’ll have proof they agreed to pay you a certain amount, and then did not deliver. If your work is used for purposes that you didn’t know it was going to be used for, and the client never mentioned – if it’s not in the contract, you have good reason to raise a ruckus about it. To put it plainly, not having a contract is basically inviting the client to screw you over, because you’ll have very little (if anything at all) to pursue them with. You’ll have no rights to your work or to compensation, and proving that you had those things would be much harder than necessary.
Someone pasted calculated molecules at this point.
'''
No. 1
22
Properties=species:S:1:pos:R:3:forces:R:3 method="wB97M-V/def2-TZVPD" homo_lumo_gap_ev=8.07 total_charge=-1 lumo_energy_ev=3.3938 mol_weight_g_mol=242.20 spin_multiplicity=1
C 1.518 -0.273 -0.866 -3.51 -0.62 0.82
C 0.503 -0.507 -1.890 -0.90 -0.05 -1.75
C 1.107 -0.055 0.399 2.41 0.44 1.21
C -0.731 -0.062 -1.701 -0.93 0.52 2.57
C -0.343 -0.175 0.865 0.89 1.09 -2.99
C -1.208 0.288 -0.362 -1.81 -0.30 1.84
C -1.926 1.614 -0.252 -0.38 1.73 0.47
N -0.625 0.550 2.051 -0.07 -0.23 0.53
O -3.214 -0.867 1.497 -0.56 0.13 1.90
O -4.065 -0.626 -0.846 0.50 -0.23 1.37
O -2.443 -2.393 -0.294 -0.87 1.67 1.04
F -2.614 1.952 -1.340 -0.71 -0.83 -0.84
F -2.787 1.754 0.809 0.22 -0.64 -0.55
F -1.190 2.808 -0.101 1.18 -0.87 0.33
S -3.061 -1.102 0.110 2.36 -0.72 -5.13
H 2.427 -0.211 -1.320 2.97 0.36 -0.11
H 0.636 -0.815 -2.942 0.97 0.01 0.72
H 1.908 0.309 1.169 -1.67 -0.77 -1.25
H -1.561 0.109 -2.315 -0.44 -0.36 -2.08
H -0.690 -1.173 0.932 0.52 -1.43 0.56
H -0.631 1.510 1.730 -0.27 0.28 0.81
H -1.578 0.228 2.237 0.13 0.82 0.52



No. 2
17
Properties=species:S:1:pos:R:3:forces:R:3 method="wB97M-V/def2-TZVPD" homo_lumo_gap_ev="7.61 / 7.97" lumo_energy_ev="-0.3816 / -0.4348" mol_weight_g_mol=138.15 spin_multiplicity=1
C 0.940 0.347 -1.013 1.02 1.47 0.63
C -0.133 1.503 0.912 0.62 0.39 0.60
C -0.118 -0.441 -1.065 -0.14 -0.45 3.05
C -1.061 0.552 0.835 1.00 0.42 0.50
C -3.926 -0.572 0.223 2.40 -0.17 0.44
C 1.277 1.211 0.267 -5.06 -3.70 -0.68
C -1.772 -1.658 0.592 -1.65 -0.58 -0.07
N -3.162 -1.548 0.194 -3.31 1.17 -0.73
N -0.912 -0.634 0.172 0.74 2.66 -0.49
F -5.223 -0.457 0.075 -0.01 -0.67 -0.25
H 1.682 0.367 -1.814 -0.57 0.04 -0.07
H -0.216 2.438 1.517 -0.34 -0.81 -0.91
H -0.349 -1.090 -1.824 -0.48 -1.35 -1.85
H 1.756 0.499 0.882 1.32 -0.24 1.03
H 1.701 2.112 0.110 2.02 2.55 -0.69
H -1.947 -1.774 1.676 1.30 0.36 -0.17
H -1.546 -2.598 0.176 1.14 -1.10 -0.32



No. 3
15
Properties=species:S:1:pos:R:3:forces:R:3 method="wB97M-V/def2-TZVPD" homo_lumo_gap_ev=10.59 lumo_energy_ev=0.7937 mol_weight_g_mol=105.14 spin_multiplicity=1 smiles=c1ccncc1.C#C
C -0.001 1.984 1.355 -0.23 -0.34 2.51
C 1.156 1.278 1.660 3.36 -1.10 -1.62
C 1.633 0.349 0.647 0.94 1.74 3.50
C 0.782 0.043 -0.365 4.53 -3.95 -1.54
C -0.382 0.584 -0.433 -3.92 4.07 2.33
C -1.488 -3.353 -1.370 -0.03 -0.26 0.00
C -1.001 -2.416 -1.979 -0.66 1.14 0.76
H -0.223 2.798 2.139 -0.48 -1.04 -1.76
H 1.924 1.486 2.494 -1.76 0.06 -1.25
H 2.682 -0.001 0.771 -1.12 -0.15 -0.31
H 1.014 -0.759 -1.121 0.17 1.05 0.82
H -0.990 0.335 -1.220 -1.94 -0.41 -1.48
H -1.940 -4.232 -0.816 0.99 1.70 -1.20
H -0.750 -1.339 -2.289 -0.38 -2.75 0.28
N -0.844 1.557 0.421 0.53 0.25 -1.04



No. 4
18
Properties=species:S:1:pos:R:3:forces:R:3 method="wB97M-V/def2-TZVPD" homo_lumo_gap_ev=9.20 lumo_energy_ev=0.5822 mol_weight_g_mol=149.15 spin_multiplicity=1 smiles="C=C[C@H](C#N)n1[nH]ccc1=O"
C -0.506 0.653 2.080 0.99 -0.69 -0.50
C 0.990 1.306 -2.337 2.17 -0.77 -1.22
C -0.309 1.180 -2.211 -1.41 -0.82 1.27
C 1.589 0.800 -1.087 -1.29 0.93 -0.33
'''
6. Even if you know them, doesn’t mean they won’t cheat you.
You also shouldn’t waive the policy of having contracts for people you’re familiar with. Even if you’ve worked with this person in the past, having a contract helps a lot. For example, I had a very stressful encounter with a client early on in my freelancing career. The client hired me for several projects over the period of a few months, was polite, and always paid promptly. However, one day, the client stopped responding to my emails after I sent over something I had finished for her. I waited a couple days, sent a few emails, no response. I began to get worried. Finally, I called her, four or five days after payment should have come. She didn’t pick up, but emailed me that she’d pay me right away. Spoilers, payment didn’t come right away – it came a month later, with excuses that she’d gone to China – which is a terrible excuse. Of course, I had no grounds on which to charge a month’s worth of late fees, or anything, because I didn’t have a contract. Looking back on it, this could have ended a lot worse, and I was lucky to have gotten paid at all. Would it have happened if I had a contract? Maybe, but at least I could have had some wonderful, wonderful late fees to roll around in.
Sure, plenty of people are good, decent and honest. However, when you are running a business (which you are!) it’s best to ask yourself in every situation, “Is this potential client in a position to somehow screw me over and make life difficult for me?” If the answer is a yes (be it a resounding yes, an ambivalent yes or a questioning yes), you may want to pull up Microsoft Word and type up a contract.
Freelancer Contract Resources:
8 Contract Clauses You Should Never Freelance Without
Helpful tips on which clauses are absolutely necessary in a freelancer contract.
Freelancers Union Contract Creator Tool
Free and simple to use contract maker that creates a template for a freelancer contract, which you can edit in Microsoft Word.
Do’s and Don’ts of Freelance Contracts
Tips on how to write up a foolproof freelancer contract even if you didn’t go to Harvard.
Andy Clarke’s Contract Killer, 3rd Edition
Simple and easy to follow template for creating a freelancer contract, that you can customize to suit your purposes.